• Data:
........
No. 1
14
Lattice="-4.3410 4.3410 4.3354 4.3410 -4.3410 4.3354 4.3410 4.3410 -4.3354" Properties=species:S:1:pos:R:3 comment="Pr2EuS4 PBE optimized geometry" formation_energy_ev_per_atom=-2.381 pbc="T T T"
Pr 2.1705 1.1076 -1.0839
Pr 3.2334 -2.1705 5.4193
Pr 2.1705 3.2334 3.2516
Pr 1.1076 6.5115 1.0839
Eu 4.3410 0.0000 2.1677
Eu 0.0000 0.0000 4.3354
S 2.8213 3.6882 -2.6373
S 4.9938 1.5197 -0.4696
S 1.5197 0.6528 1.6981
S 1.5197 3.6882 0.4696
S 2.8213 0.6528 4.8050
S 4.9938 2.8213 2.6373
S -0.6528 2.8213 3.8659
S -0.6528 1.5197 6.9727



No. 2
6
Lattice="0.0000 3.9157 3.9157 3.9157 0.0000 3.9157 3.9157 3.9157 0.0000" Properties=species:S:1:pos:R:3 comment="EuPt2 PBE optimized geometry" formation_energy_ev_per_atom=-0.963 pbc="T T T"
Eu 0.9789 0.9789 0.9789
Eu 6.8524 6.8524 6.8524
Pt 3.9157 1.9578 1.9578
Pt 1.9578 3.9157 1.9578
Pt 1.9578 1.9578 3.9157
Pt 3.9157 3.9157 3.9157



No. 3
14
Lattice="8.4086 -3.3976 0.0000 8.4086 3.3976 0.0000 -1.0260 0.0000 7.7647" Properties=species:S:1:pos:R:3 comment="Eu5Pt2 PBE optimized geometry" formation_energy_ev_per_atom=-0.706 pbc="T T T"
Eu 7.6391 2.8616 5.8236
Eu 3.3344 0.5354 2.4709
Eu 2.8214 -0.5354 6.3533
Eu 6.7913 0.7497 0.6196
Eu 9.5129 0.7497 3.2628
Eu 6.2783 -0.7497 4.5020
Eu 8.9999 -0.7497 7.1451
Eu 12.9697 0.5354 1.4115
Eu 12.4567 -0.5354 5.2938
Eu 8.1521 -2.8616 1.9412
Pt 6.1377 1.9900 3.2557
Pt 10.1664 1.9900 0.6267
Pt 5.6247 -1.9900 7.1381
Pt 9.6534 -1.9900 4.5090



No. 4
5
Lattice="-2.1337 2.1337 4.9952 2.1337 -2.1337 4.9952 2.1337 2.1337 -4.9952" Properties=species:S:1:pos:R:3 comment="EuSi2Pt2 PBE optimized geometry" formation_energy_ev_per_atom=-0.926 pbc="T T T"
Eu 0.0000 0.0000 0.0000
Si 0.0000 0.0000 3.7733
Si 0.0000 0.0000 6.2170
Pt 2.1337 0.0000 2.4976
Pt 0.0000 2.1337 2.4976



No. 5
4
Lattice="0.0000 3.4495 3.4495 3.4495 0.0000 3.4495 3.4495 3.4495 0.0000" Properties=species:S:1:pos:R:3 comment="EuPuRh2 PBE optimized geometry" formation_energy_ev_per_atom=0.063 pbc="T T T"
Eu 0.0000 0.0000 0.0000
Pu 3.4495 3.4495 3.4495
Rh 1.7248 1.7248 1.7248
Rh 5.1743 5.1743 5.1743



No. 6
4
Lattice="6.0143 0.0000 0.0000 0.0000 6.0143 0.0000 0.0000 0.0000 6.0143" Properties=species:S:1:pos:R:3 comment="RbEu3 PBE optimized geometry" formation_energy_ev_per_atom=0.247 pbc="T T T"
Rb 0.0000 0.0000 0.0000
Eu 0.0000 3.0072 3.0072
Eu 3.0072 0.0000 3.0072
Eu 3.0072 3.0072 0.0000



No. 7
4
Lattice="0.0000 4.8708 4.8708 4.8708 0.0000 4.8708 4.8708 4.8708 0.0000" Properties=species:S:1:pos:R:3 comment="RbEu3 PBE optimized geometry" formation_energy_ev_per_atom=0.254 pbc="T T T"
Rb 0.0000 0.0000 0.0000
Eu 2.4354 2.4354 2.4354
Eu 4.8708 4.8708 4.8708
Eu 7.3062 7.3062 7.3062



No. 8
4
Lattice="-2.9810 2.9810 6.0539 2.9810 -2.9810 6.0539 2.9810 2.9810 -6.0539" Properties=species:S:1:pos:R:3 comment="RbEu3 PBE optimized geometry" formation_energy_ev_per_atom=0.249 pbc="T T T"
Rb 0.0000 0.0000 0.0000
Eu 2.9810 0.0000 3.0270
Eu 0.0000 0.0000 6.0539
Eu 0.0000 2.9810 3.0270



No. 9
28
Lattice="6.4915 0.0000 0.0000 0.0000 6.6706 0.0000 0.0000 0.0000 17.2433" Properties=species:S:1:pos:R:3 comment="RbEuSiS4 PBE optimized geometry" formation_energy_ev_per_atom=-1.541 pbc="T T T"
Rb 0.0977 0.0312 0.5671
Rb 3.1481 6.6395 9.1888
Rb 3.3435 3.3042 16.6762
Rb 6.3938 3.3665 8.0546
Eu 1.3551 0.1332 13.3443
Eu 1.8906 6.5374 4.7226
Eu 4.6009 3.2021 3.8991
Eu 5.1364 3.4685 12.5207
Si 1.3645 3.4158 2.8045
Si 1.8813 3.2548 11.4262
Si 4.6102 6.5901 14.4388
Si 5.1271 0.0805 5.8172
S 0.2983 0.0597 7.0964
S 0.4905 1.6914 11.0445
S 0.6859 4.9921 11.1604
S 0.7622 3.7080 4.8187
S 2.4836 2.9626 13.4403
S 2.5598 1.6785 2.5387
S 2.7553 4.9793 2.4228
S 2.9474 6.6109 15.7180
S 3.5441 3.2756 10.1469
S 3.7362 1.6440 6.1988
S 3.9317 5.0138 6.0830
S 4.0080 6.2979 12.4246
S 5.7294 0.3727 3.8030
S 5.8056 1.6568 14.7046
S 6.0011 5.0267 14.8205
S 6.1932 3.3950 1.5253



No. 10
6
........

• Work order:
Copy the listing further above word for word.

• Solution:
No. 1
14
Lattice="-4.3410 4.3410 4.3354 4.3410 -4.3410 4.3354 4.3410 4.3410 -4.3354" Properties=species:S:1:pos:R:3 comment="Pr2EuS4 PBE optimized geometry" formation_energy_ev_per_atom=-2.381 pbc="T T T"
Pr 2.1705 1.1076 -1.0839
Pr 3.2334 -2.1705 5.4193
Pr 2.1705 3.2334 3.2516
Pr 1.1076 6.5115 1.0839
Eu 4.3410 0.0000 2.1677
Eu 0.0000 0.0000 4.3354
S 2.8213 3.6882 -2.6373
S 4.9938 1.5197 -0.4696
S 1.5197 0.6528 1.6981
S 1.5197 3.6882 0.4696
S 2.8213 0.6528 4.8050
S 4.9938 2.8213 2.6373
S -0.6528 2.8213 3.8659
S -0.6528 1.5197 6.9727



No. 2
6
Lattice="0.0000 3.9157 3.9157 3.9157 0.0000 3.9157 3.9157 3.9157 0.0000" Properties=species:S:1:pos:R:3 comment="EuPt2 PBE optimized geometry" formation_energy_ev_per_atom=-0.963 pbc="T T T"
Eu 0.9789 0.9789 0.9789
Eu 6.8524 6.8524 6.8524
Pt 3.9157 1.9578 1.9578
Pt 1.9578 3.9157 1.9578
Pt 1.9578 1.9578 3.9157
Pt 3.9157 3.9157 3.9157



No. 3
14
Lattice="8.4086 -3.3976 0.0000 8.4086 3.3976 0.0000 -1.0260 0.0000 7.7647" Properties=species:S:1:pos:R:3 comment="Eu5Pt2 PBE optimized geometry" formation_energy_ev_per_atom=-0.706 pbc="T T T"
Eu 7.6391 2.8616 5.8236
Eu 3.3344 0.5354 2.4709
Eu 2.8214 -0.5354 6.3533
Eu 6.7913 0.7497 0.6196
Eu 9.5129 0.7497 3.2628
Eu 6.2783 -0.7497 4.5020
Eu 8.9999 -0.7497 7.1451
Eu 12.9697 0.5354 1.4115
Eu 12.4567 -0.5354 5.2938
Eu 8.1521 -2.8616 1.9412
Pt 6.1377 1.9900 3.2557
Pt 10.1664 1.9900 0.6267
Pt 5.6247 -1.9900 7.1381
Pt 9.6534 -1.9900 4.5090



No. 4
5
Lattice="-2.1337 2.1337 4.9952 2.1337 -2.1337 4.9952 2.1337 2.1337 -4.9952" Properties=species:S:1:pos:R:3 comment="EuSi2Pt2 PBE optimized geometry" formation_energy_ev_per_atom=-0.926 pbc="T T T"
Eu 0.0000 0.0000 0.0000
Si 0.0000 0.0000 3.7733
Si 0.0000 0.0000 6.2170
Pt 2.1337 0.0000 2.4976
Pt 0.0000 2.1337 2.4976



No. 5
4
Lattice="0.0000 3.4495 3.4495 3.4495 0.0000 3.4495 3.4495 3.4495 0.0000" Properties=species:S:1:pos:R:3 comment="EuPuRh2 PBE optimized geometry" formation_energy_ev_per_atom=0.063 pbc="T T T"
Eu 0.0000 0.0000 0.0000
Pu 3.4495 3.4495 3.4495
Rh 1.7248 1.7248 1.7248
Rh 5.1743 5.1743 5.1743



No. 6
4
Lattice="6.0143 0.0000 0.0000 0.0000 6.0143 0.0000 0.0000 0.0000 6.0143" Properties=species:S:1:pos:R:3 comment="RbEu3 PBE optimized geometry" formation_energy_ev_per_atom=0.247 pbc="T T T"
Rb 0.0000 0.0000 0.0000
Eu 0.0000 3.0072 3.0072
Eu 3.0072 0.0000 3.0072
Eu 3.0072 3.0072 0.0000



No. 7
4
Lattice="0.0000 4.8708 4.8708 4.8708 0.0000 4.8708 4.8708 4.8708 0.0000" Properties=species:S:1:pos:R:3 comment="RbEu3 PBE optimized geometry" formation_energy_ev_per_atom=0.254 pbc="T T T"
Rb 0.0000 0.0000 0.0000
Eu 2.4354 2.4354 2.4354
Eu 4.8708 4.8708 4.8708
Eu 7.3062 7.3062 7.3062



No. 8
4
Lattice="-2.9810 2.9810 6.0539 2.9810 -2.9810 6.0539 2.9810 2.9810 -6.0539" Properties=species:S:1:pos:R:3 comment="RbEu3 PBE optimized geometry" formation_energy_ev_per_atom=0.249 pbc="T T T"
Rb 0.0000 0.0000 0.0000
Eu 2.9810 0.0000 3.0270
Eu 0.0000 0.0000 6.0539
Eu 0.0000 2.9810 3.0270



No. 9
28
Lattice="6.4915 0.0000 0.0000 0.0000 6.6706 0.0000 0.0000 0.0000 17.2433" Properties=species:S:1:pos:R:3 comment="RbEuSiS4 PBE optimized geometry" formation_energy_ev_per_atom=-1.541 pbc="T T T"
Rb 0.0977 0.0312 0.5671
Rb 3.1481 6.6395 9.1888
Rb 3.3435 3.3042 16.6762
Rb 6.3938 3.3665 8.0546
Eu 1.3551 0.1332 13.3443
Eu 1.8906 6.5374 4.7226
Eu 4.6009 3.2021 3.8991
Eu 5.1364 3.4685 12.5207
Si 1.3645 3.4158 2.8045
Si 1.8813 3.2548 11.4262
Si 4.6102 6.5901 14.4388
Si 5.1271 0.0805 5.8172
S 0.2983 0.0597 7.0964
S 0.4905 1.6914 11.0445
S 0.6859 4.9921 11.1604
S 0.7622 3.7080 4.8187
S 2.4836 2.9626 13.4403
S 2.5598 1.6785 2.5387
S 2.7553 4.9793 2.4228
S 2.9474 6.6109 15.7180
S 3.5441 3.2756 10.1469
S 3.7362 1.6440 6.1988
S 3.9317 5.0138 6.0830
S 4.0080 6.2979 12.4246
S 5.7294 0.3727 3.8030
S 5.8056 1.6568 14.7046
S 6.0011 5.0267 14.8205
S 6.1932 3.3950 1.5253



No. 10
6